Practice Plan’s Former Technical Director Graham Penfold shares what he thinks are some of the most important areas to keep your practice at its best during tough times.
(Misplaced materials data)
____________
{"formula": "Hf2GaP", "functional": "meta-GGA SCAN", "state": "single point on PBEsol structure", "energy_ev_per_atom": -38.455, "cell": [[6.4837, 0.0000, 0.0000], [0.0000, 6.4837, 0.0000], [0.0000, 0.0000, 6.4837]], "species": ["Hf", "Hf", "Hf", "Hf", "Hf", "Hf", "Hf", "Hf", "Ga", "Ga", "Ga", "Ga", "P", "P", "P", "P"], "frac_coords": [[0.2500, 0.2500, 0.2500], [0.2500, 0.2500, 0.7500], [0.2500, 0.7500, 0.2500], [0.2500, 0.7500, 0.7500], [0.7500, 0.2500, 0.2500], [0.7500, 0.2500, 0.7500], [0.7500, 0.7500, 0.2500], [0.7500, 0.7500, 0.7500], [0.0000, 0.0000, 0.0000], [0.0000, 0.5000, 0.5000], [0.5000, 0.0000, 0.5000], [0.5000, 0.5000, 0.0000], [0.0000, 0.0000, 0.5000], [0.0000, 0.5000, 0.0000], [0.5000, 0.0000, 0.0000], [0.5000, 0.5000, 0.5000]]}

---

{"formula": "Nb2TeAs2", "functional": "meta-GGA SCAN", "state": "single point on PBEsol structure", "e_form_raw_ev_per_atom": -0.136, "cell": [[3.7312, 0.0000, 0.0000], [0.0000, 3.7312, 0.0000], [0.0000, 0.0000, 13.6592]], "species": ["Nb", "Nb", "Nb", "Nb", "Te", "Te", "As", "As", "As", "As"], "frac_coords": [[0.0000, 0.0000, 0.1120], [0.0000, 0.0000, 0.8880], [0.5000, 0.5000, 0.3880], [0.5000, 0.5000, 0.6120], [0.0000, 0.0000, 0.5000], [0.5000, 0.5000, 0.0000], [0.0000, 0.5000, 0.2500], [0.0000, 0.5000, 0.7500], [0.5000, 0.0000, 0.2500], [0.5000, 0.0000, 0.7500]]}

---

{"formula": "YH2I", "functional": "meta-GGA SCAN", "state": "single point on PBEsol structure", "energy_ev_per_atom": -18.596, "cell": [[4.6603, 0.0000, 0.0000], [0.0000, 4.6603, 0.0000], [0.0000, 0.0000, 13.1751]], "species": ["Y", "Y", "Y", "Y", "H", "H", "H", "H", "H", "H", "H", "H", "I", "I", "I", "I"], "frac_coords": [[0.0000, 0.2500, 0.3750], [0.0000, 0.7500, 0.6250], [0.5000, 0.2500, 0.1250], [0.5000, 0.7500, 0.8750], [0.0000, 0.0000, 0.5000], [0.0000, 0.5000, 0.5000], [0.2500, 0.2500, 0.2500], [0.2500, 0.7500, 0.7500], [0.5000, 0.0000, 0.0000], [0.5000, 0.5000, 0.0000], [0.7500, 0.2500, 0.2500], [0.7500, 0.7500, 0.7500], [0.0000, 0.2500, 0.8750], [0.0000, 0.7500, 0.1250], [0.5000, 0.2500, 0.6250], [0.5000, 0.7500, 0.3750]]}

---

{"formula": "SrMg3F", "functional": "meta-GGA SCAN", "state": "single point on PBEsol structure", "e_form_raw_ev_per_atom": -0.683, "cell": [[4.9483, 0.0000, 0.0000], [0.0000, 4.9483, 0.0000], [0.0000, 0.0000, 4.9483]], "species": ["Sr", "Mg", "Mg", "Mg", "F"], "frac_coords": [[0.0000, 0.0000, 0.0000], [0.0000, 0.5000, 0.5000], [0.5000, 0.0000, 0.5000], [0.5000, 0.5000, 0.0000], [0.5000, 0.5000, 0.5000]]}

---

{"formula": "HfFe3Cl", "functional": "meta-GGA SCAN", "state": "single point on PBEsol structure", "e_form_raw_ev_per_atom": 0.604, "cell": [[4.0741, 0.0000, 0.0000], [0.0000, 4.0741, 0.0000], [0.0000, 0.0000, 4.0741]], "species": ["Hf", "Fe", "Fe", "Fe", "Cl"], "frac_coords": [[0.0000, 0.0000, 0.0000], [0.0000, 0.5000, 0.5000], [0.5000, 0.0000, 0.5000], [0.5000, 0.5000, 0.0000], [0.5000, 0.5000, 0.5000]]}

---
____________
Many businesses are having a tough time battling through the recession. So, in times like these, there are three key areas to focus on – exceptional customer service, choice and information.
- - -
Material: PuFeB
Method: DFT, PBE
State: relaxed

Unit cell a=3.9829 b=3.9829 c=3.9829 alpha=60.00 beta=60.00 gamma=60.00
Last column: nearest neighbours and their distance in Å.
Sites, in units of the cell vectors:
Pu 0.0000 0.0000 0.0000  4 Fe 2.44, 4 B 2.44
Fe 0.2500 0.2500 0.2500  4 Pu 2.44
B 0.7500 0.7500 0.7500  4 Pu 2.44

For the total magnetic moment, the calculation gives 0.0 μB/cell. As for the offset from the most stable computed form: 20.75 kcal/mol of atoms.
- - -
Exceptional customer service is first on the list and means aiming for the much talked of ‘WOW’ factor. Delivering this will mean your patients feel so special when visiting your practice that they cannot possibly think of leaving, or even postponing treatment because they get such exceptional value for money. Achieving this has to be part of a big team effort involving all the staff in the practice, as one rogue member can spoil the whole show; I’m sure we have all experienced that from time to time!
Next is patient choice. This can range from treatment types and funding options, right through to appointment times and availability. If finances are tight for patients then treatment take-up can slow down. Offering choice on this front is about making treatment more affordable and offering alternative treatments can also be an option. For example, if a crown is refused, due to cost then a large filling may be offered instead. Along with this, offering finance can help the patient say yes to a treatment plan; getting to some kind of ‘yes’ is the important thing. Other options may lie in opening earlier in the morning or later into the evening to ensure patient attendance; increasingly more employers are refusing patients to book dental appointments during working hours.
The final area is information, not only for both new and existing patients, but also for the whole practice team. For new patients it could be a welcome pack with information about the practice, how it operates and the range of services available. You might consider a patient satisfaction survey for existing patients to seek their views on the practice and then, if you make changes because of their feedback, you can tell them about it in a newsletter.
For the practice team, you could set up a number of performance measures to monitor key business areas in the practice. This could include a system to identify what prompted new patients to the practice; personal recommendation, website, etc, and also one to check whether appointment books are becoming busier, quieter or remaining stable. There are many more Key Performance Indicators that you could use and they all help check the health of the business and aid you to focus on the most critically important tasks to remain successful.
In challenging times, excellent customer service, underpinned by good clear choices and intelligent information and systems are all valuable tools for toughing it out.